Now filter the material underneath: keep the lines with the word "RIJCOSX".

+++
(1)
Formula: C57H111F2N3O17
Source: the Open Molecules 2025 dataset
Level of theory: the ωB97M-V functional and the def2-TZVPD basis

Molar mass, g mol⁻¹: 1148.5
E, eV: -105612.3855
HOMO level, eV: -7.9
Lowest unoccupied orbital energy, eV: 0.0228

```
! RIJCOSX wB97M-V def2-TZVPD def2/J DEFGRID3
* xyz 0 1
C -0.1134 4.8772 -3.9639
C 0.5602 3.6310 -4.5662
C -0.3833 2.4525 -4.1285
C -1.6117 2.3387 -4.9323
C -1.3718 2.4941 -6.4735
C -0.4124 3.6413 -6.9051
N 0.8068 3.5872 -6.0215
O 1.8097 4.4223 -6.5149
C 0.0744 3.2948 -8.2789
C -1.2048 4.9999 -7.0023
C 1.9009 3.3428 -3.8374
H -1.1504 4.8440 -4.2981
H 0.2446 5.8154 -4.3877
H -0.1257 4.9343 -2.8755
H 0.0890 1.5229 -4.4461
H -0.6663 2.4031 -3.0771
H -2.2871 3.1082 -4.5584
H -2.1662 1.4656 -4.5884
H -2.3320 2.8680 -6.8289
H -1.1979 1.5211 -6.9331
H -0.7792 3.4030 -8.9481
H 0.7923 4.0352 -8.6317
H 0.4619 2.2784 -8.3497
H -1.7175 5.2195 -7.9388
H -1.9683 4.9174 -6.2287
H -0.4349 5.7262 -6.7417
H 2.7202 3.9840 -4.1625
H 2.3117 2.3484 -4.0124
H 1.9264 3.4760 -2.7558
H 2.5942 3.8738 -6.4427
C 11.1222 5.4023 -1.5181
C 10.3726 4.0268 -1.3016
C 11.1831 3.2852 -0.1589
C 10.3899 2.0212 0.2292
C 9.0034 2.4352 0.7428
C 8.1606 3.1912 -0.3937
N 8.9757 4.2945 -1.0146
O 8.3519 4.8380 -2.0578
C 7.6693 2.1541 -1.4436
C 6.8850 3.6219 0.3155
C 10.6257 3.2379 -2.6275
H 12.2073 5.3012 -1.5419
H 10.7727 6.1436 -0.7995
H 10.7060 5.8255 -2.4323
H 12.2613 3.1740 -0.2736
H 11.2473 3.9880 0.6718
H 10.9788 1.4040 0.9077
H 10.3146 1.3538 -0.6293
H 9.1362 3.1637 1.5427
H 8.4347 1.6073 1.1663
H 7.1226 2.7554 -2.1699
H 8.3468 1.5561 -2.0530
H 6.9618 1.5119 -0.9190
H 7.1969 4.4664 0.9300
H 6.0500 3.9558 -0.3003
H 6.5346 2.8965 1.0498
H 11.6787 2.9641 -2.6928
H 10.3013 3.8628 -3.4596
H 10.1446 2.2624 -2.6989
H 8.1275 5.7163 -1.7418
C -2.7677 -3.1761 0.8075
C -2.3035 -2.1331 -0.2249
C -2.8825 -0.7211 0.0702
C -2.1043 -0.0366 1.2508
C -0.5824 -0.1102 1.0801
C 0.0462 -1.4575 0.7361
N -0.8083 -2.0874 -0.2956
O -0.2241 -3.1849 -0.8221
C 1.4785 -1.1389 0.2642
C 0.2380 -2.3794 2.0530
C -2.9659 -2.5267 -1.6018
H -2.6481 -4.1926 0.4328
H -3.8460 -3.0752 0.9310
H -2.3035 -3.1880 1.7937
H -2.8430 -0.1038 -0.8272
H -3.9063 -0.6746 0.4412
H -2.4962 -0.5173 2.1471
H -2.4341 0.9773 1.4775
H -0.1566 0.1991 2.0346
H -0.2997 0.6902 0.3963
H 2.0736 -2.0120 -0.0034
H 1.6082 -0.2938 -0.4119
H 1.9656 -0.7244 1.1469
H -0.5315 -2.1724 2.7968
H 0.1661 -3.4284 1.7660
H 1.2142 -2.2555 2.5218
H -4.0186 -2.2550 -1.6793
H -2.6789 -3.5403 -1.8816
H -2.4949 -1.9215 -2.3764
H 0.4037 -2.7318 -1.3896
C -5.8619 4.3283 3.5808
C -7.0061 5.2700 3.5585
O -8.0894 5.0447 3.0023
C -6.7872 6.6206 4.2460
H -4.9399 4.7825 3.2179
H -6.2085 3.5276 2.9275
H -5.5947 3.7803 4.4843
H -7.6785 7.2356 4.1218
H -5.9237 7.1010 3.7859
H -6.6338 6.4193 5.3062
C 5.0650 -3.6543 5.2997
C 6.0030 -3.1255 4.2078
O 6.7712 -2.2098 4.4456
C 6.0396 -3.7736 2.8030
H 5.3062 -3.2563 6.2854
H 5.0849 -4.7390 5.1937
H 4.0356 -3.3228 5.1634
H 6.6362 -4.6733 2.9537
H 6.4755 -3.1526 2.0204
H 5.0462 -4.0039 2.4178
C -4.5157 -8.1938 3.4733
C -5.9990 -8.0699 3.7535
O -6.7355 -8.3848 2.8267
C -6.5776 -7.4777 5.0162
H -4.2230 -7.3836 2.8055
H -4.1908 -9.1708 3.1157
H -3.9217 -7.9754 4.3608
H -5.9884 -6.6347 5.3771
H -6.7219 -8.1585 5.8552
H -7.5872 -7.1628 4.7525
C 2.8057 1.1884 6.2512
C 1.8045 0.8746 7.4095
O 1.5647 -0.2520 7.8257
C 1.1147 2.0617 8.0130
H 3.3631 0.2773 6.0337
H 3.4652 2.0089 6.5338
H 2.3514 1.5178 5.3167
H 1.8625 2.6724 8.5189
H 0.3963 1.6069 8.6950
H 0.4714 2.5165 7.2598
C -6.2392 -8.1740 -2.2077
C -5.0322 -9.0168 -2.4418
O -3.9882 -8.5226 -2.8734
C -5.1948 -10.4331 -2.0418
H -6.6933 -8.2147 -1.2176
H -7.0242 -8.6085 -2.8267
H -6.1238 -7.1163 -2.4446
H -5.9932 -10.9254 -2.5970
H -5.4584 -10.5280 -0.9884
H -4.2378 -10.8888 -2.2957
C -6.1355 -0.4939 5.1121
C -7.2274 -0.0131 5.9745
O -7.0481 0.7264 6.8357
C -8.6700 -0.5366 5.8161
H -6.4853 -1.3137 4.4847
H -5.2697 -0.8654 5.6604
H -6.0099 0.3820 4.4755
H -8.7186 -1.4475 6.4128
H -8.6942 -0.8840 4.7833
H -9.3984 0.2115 6.1289
+++

! RIJCOSX wB97M-V def2-TZVPD def2/J DEFGRID3